Rose basketball highlights
Issue 1
September 27th, 2019
Editor remarks on necessary increased presence in global affairs
FRI. | 10-09-20 | OPINION
On a simple scale, many aspects of American politics can be seen in the rooms and hallways of high school. We have factions who inhabit the same environment but frequently clash. We have domestic turmoil from time to time, such as large fights or disciplinary issues. We even have conflicts with other nations (such as the great states of D.H. Conley or South Central High School). But let us ponder one very important question: if we have internal issues such as disciplinary problems or lack of funding, do we cut ourselves off from the outside community? Ponder that as you read.
Since the beginning of the Trump administration in 2016, the United States has seen a marked increase in isolationist tendencies and a noticeable withdrawal from international affairs and organizations. This is widely knownas the “America First” policy. Current U.S. president Donald Trump often states that this move has largely been made so our government can focus on increasingly disruptive internal conflicts before we focus on international matters. Despite this claim, it is still my belief that positive global affairs and foreign policy must be upheld to a certain degree in all but the most severe circumstances.

Graphic by William Becker
When looking back at the Obama administration, the contrast between his foreign policy and Trump’s is quite apparent. One of the keystones of the previous president’s policy was to "rebuild and construct the alliances and partnerships necessary to meet common challenges and confront common threats." This is a far cry from our current situation, where Trump frequently restates that it is the "right of all nations to put their own interests first." Our administration’s focus has quite drastically shifted from bolstering international economics and stability to ensuring supposed protection of our peoples’ interests. Many of these protective acts however, have actually been quite counterproductive (or at best, rather pointless), such as last year’s notice of withdrawal from the 2015 Paris Agreement and the frenzied defense of our southern border. Though this so-called defense of our Mexican border did utilize communication with Central American countries, it was too forceful to be considered true cooperation. According to Tracy Wilkinson of the Los Angeles Times, “[Trump] threatened to block aid and slap tariffs on the relatively poor countries, [so] they acquiesced.” This action, like many others in the past several years, makes it quite apparent that U.S. international negotiation tactics have switched from cooperation and collaboration to isolationism and intimidation.
On the topic of intimidation, it has also become increasingly obvious to me that the United States has become less inviting to immigrants and general “outsiders,” and has taken on an almost high-and-mighty attitude. This follows the modern American track of exclusivity and decreased international interest that has gripped our nation for these tumultuous past four years. Though this may be presented by nationalist Americans as a way of Lady Liberty getting her self-care, it also heavily contradicts the traditional American ideal of our country being a welcoming melting pot to the “huddled masses yearning to breathe free.” As a country built on immigration, is it morally acceptable to step back from the world and focus on ourselves? We certainly have our fair share of domestic troubles for the time being, but I still find it hard to believe that these troubles justify reversing 250-year-old ideals that are the very foundation of our existence as a country. After all, does building a literal wall and detaining hopeful refugees and their children seem like embracing the “huddled masses”?
• The entry is interrupted by crystal structures:
'''
Entry from Alexandria: crystalline SrTlO2 at its relaxed geometry (PBE).

Calculated values
Energy relative to the lowest polymorph listed for this composition = 76 meV/atom
N(E_F) = 0.9 states/eV/cell

Unit cell a=5.493 b=5.493 c=11.380 alpha=90.00 beta=90.00 gamma=90.00
Space group I-42d (No. 122)
Inequivalent atoms, fractional coordinates:
Sr  0.000  0.000  0.000 (multiplicity 4)
Tl  0.000  0.000  0.500 (multiplicity 4)
O  0.240  0.250  0.625 (multiplicity 8)

***

Entry from Alexandria: crystalline Sr3TlO4 at its relaxed geometry (PBE).

Calculated values
Energy relative to the lowest polymorph listed for this composition = 0 meV/atom
N(E_F) = 7.2 states/eV/cell

Unit cell a=7.3391 b=7.3391 c=8.9903 alpha=90.00 beta=90.00 gamma=120.00
Space group R3m (No. 160, hexagonal axes)
Inequivalent atoms, fractional coordinates:
Sr  0.0001  0.5000  0.0000 (multiplicity 9)
Tl  0.0000  0.0000  0.0004 (multiplicity 3)
O  0.0000  0.0000  0.5001 (multiplicity 3)
O  0.1673  0.3345  0.8325 (multiplicity 9)

***

Entry from Alexandria: crystalline SrTl2O2 at its relaxed geometry (PBE).

Calculated values
Energy relative to the lowest polymorph listed for this composition = 873 meV/atom
N(E_F) = 5.2 states/eV/cell

Unit cell a=4.011 b=4.011 c=13.346 alpha=90.00 beta=90.00 gamma=90.00
Space group I4/mmm (No. 139)
Inequivalent atoms, fractional coordinates:
Sr  0.000  0.000  0.000 (multiplicity 2)
Tl  0.000  0.500  0.250 (multiplicity 4)
O  0.000  0.000  0.400 (multiplicity 4)

***

Entry from Alexandria: crystalline SrTl2O2 at its relaxed geometry (PBE).

Calculated values
Energy relative to the lowest polymorph listed for this composition = 0 meV/atom
N(E_F) = 0.0 states/eV/cell

Unit cell a=3.6754 b=3.6754 c=28.2684 alpha=90.00 beta=90.00 gamma=120.00
Space group R-3m (No. 166, hexagonal axes)
Inequivalent atoms, fractional coordinates:
Sr  0.0000  0.0000  0.0000 (multiplicity 3)
Tl  0.0000  0.0000  0.2282 (multiplicity 6)
O  0.0000  0.0000  0.3837 (multiplicity 6)

***

Entry from Alexandria: crystalline Sr3Tl2O6 at its relaxed geometry (PBE).

Calculated values
Energy relative to the lowest polymorph listed for this composition = 0 meV/atom

Unit cell a=12.020 b=17.217 c=3.529 alpha=90.00 beta=90.00 gamma=90.00
Space group Pbam (No. 55)
Inequivalent atoms, fractional coordinates:
Sr  0.095  0.146  0.000 (multiplicity 4)
Sr  0.133  0.541  0.000 (multiplicity 4)
Sr  0.176  0.775  0.000 (multiplicity 4)
Tl  0.090  0.353  0.500 (multiplicity 4)
Tl  0.132  0.958  0.500 (multiplicity 4)
O  0.000  0.000  0.000 (multiplicity 2)
O  0.000  0.500  0.500 (multiplicity 2)
O  0.028  0.670  0.000 (multiplicity 4)
O  0.062  0.846  0.500 (multiplicity 4)
O  0.185  0.239  0.500 (multiplicity 4)
O  0.213  0.066  0.500 (multiplicity 4)
O  0.213  0.404  0.000 (multiplicity 4)

***

Entry from Alexandria: crystalline SrTl4O6 at its relaxed geometry (PBE).

Calculated values
N(E_F) = 10.9 states/eV/cell

Unit cell a=3.589 b=11.860 c=17.061 alpha=90.00 beta=90.00 gamma=90.00
'''
With that said, let me make my stance clear: I do not think the United States should completely set aside internal issues to focus on international well-being and cooperation. Domestic peace and stability is extremely important and should be maintained to the best of our government’s ability. However, we must also uphold foreign relations if we are to continue functioning as a nation. The United States is not a self-sufficient country, and we still rely on many economic partnerships for the importation of goods and services. Without these, we simply cannot succeed as a country. The only path left open for us now is to simply admit our mistakes and begin the journey towards reclaiming our former status as a positively contributing member of the global community. Agreements must be rejoined and partnerships must be mended.
Unfortunately, our friendly relations are slipping. In a survey taken this year by the Pew Research Center among thirteen closely-allied countries, an average of only 34% of their citizens hold a positive view of the United States. In contrast, a 2016 poll taken among the citizens of 10 countries in the European Union showed that, at the time, 63% held a favorable view of the U.S. It is quite needless to say that our position and reputation in the international scene is at a record low.
Can I say that I’m surprised by these statistics? Truthfully told, no I cannot. In the past century, the United States has developed a trend of involving itself in international disputes and conflicts which it has little to no place in. This includes legally gray issues such as the American role in Chilean political instability throughout the 20th century and repeated crises in the Middle East which frequently seem to be exacerbated by American intervention. But with the dawn of the Trump administration, this overly-exuberant international presence has practically turned on its heels and kicked the United States into a trend of political isolationism.
Now, I am not saying we have completely pulled out of foreign interactions. On the contrary, our military policies have avoided isolationism like the plague. We continue to maintain a strong (and often unwanted) military presence in the Middle East, and conflicts occur from time to time. Rather, it is our political policies which have become isolationist. Our government follows “America First,” but our military seems to be following “America Everywhere.”
This is part of the reason why international opinions of the United States seem to drop lower and lower: we involve ourselves in that which we should not (e.g. Central American governments and trade wars), and we distance ourselves from that which we should be involved in (e.g. international climate regulations and harboring refugees). These wild variations in U.S. foreign policy are a part of what is keeping us ostracized from the rest of the global community.
Between two parts of the piece: crystal structures:
┌──
Crystalline La4Ho4Tm at its relaxed geometry. Source: Alexandria via LeMat-Bulk, functional PBE.

Computed properties:
The value obtained for the formation energy is 0.7169 eV per atom. As for the energy above the most stable polymorph in this dataset: 0.687 eV/atom. The calculation puts the density of states at the Fermi level at 13.449 states/eV/f.u.

Cell lengths 10.6527, 10.6527, 10.6527 Å; angles 146.56, 146.56, 48.02 degrees
Closest atoms and distances in Å follow each position.
Atoms (fractional coordinates):
La 0.0000 0.5000 0.5000  2 Tm 3.07
La 0.1451 0.1451 0.0000  1 Tm 2.82, 2 Ho 2.99
La 0.5000 0.0000 0.5000  2 Tm 3.07
La 0.8549 0.8549 0.0000  1 Tm 2.82, 2 Ho 2.99
Ho 0.1164 0.1164 0.6392  2 La 2.99-3.34, 1 Ho 3.13
Ho 0.4772 0.4772 0.3608  2 La 2.99-3.34, 1 Ho 3.13
Ho 0.5228 0.8836 0.0000  2 La 2.99-3.34, 1 Ho 3.13
Ho 0.8836 0.5228 0.0000  2 La 2.99-3.34, 1 Ho 3.13
Tm 0.0000 0.0000 0.0000  6 La 2.82-3.07

***

Crystalline La2Ho3Tm5 at its relaxed geometry. Source: Alexandria via LeMat-Bulk, functional PBE.

Computed properties:
The value obtained for the formation energy is 0.2174 eV per atom. The calculation puts the density of states at the Fermi level at 17.395 states/eV/f.u.

Cell lengths 9.0042, 9.0042, 9.6516 Å; angles 106.04, 106.04, 105.84 degrees
Closest atoms and distances in Å follow each position.
Atoms (fractional coordinates):
La 0.0468 0.2945 0.0435  3 Ho 3.24-3.52, 3 Tm 3.43-3.61
La 0.2945 0.0468 0.5435  3 Ho 3.24-3.52, 3 Tm 3.43-3.61
La 0.7055 0.9532 0.4565  3 Ho 3.24-3.52, 3 Tm 3.43-3.61
La 0.9532 0.7055 0.9565  3 Ho 3.24-3.52, 3 Tm 3.43-3.61
Ho 0.2000 0.4534 0.4210  1 La 3.24, 5 Tm 3.30-3.55, 1 Ho 3.34
Ho 0.2738 0.7262 0.2500  3 Tm 3.30-3.38, 2 Ho 3.34, 4 La 3.36-3.52
Ho 0.4534 0.2000 0.9210  1 La 3.24, 5 Tm 3.30-3.55, 1 Ho 3.34
Ho 0.5466 0.8000 0.0790  1 La 3.24, 5 Tm 3.30-3.55, 1 Ho 3.34
Ho 0.7262 0.2738 0.7500  3 Tm 3.30-3.38, 2 Ho 3.34, 4 La 3.36-3.52
Ho 0.8000 0.5466 0.5790  1 La 3.24, 5 Tm 3.30-3.55, 1 Ho 3.34
Tm 0.0336 0.9664 0.7500  3 Tm 3.15-3.46, 2 Ho 3.42, 2 La 3.43
Tm 0.0780 0.3267 0.6757  3 Ho 3.30-3.67, 3 Tm 3.44-3.46, 1 La 3.61
Tm 0.2526 0.7474 0.7500  4 Tm 3.15-3.50, 2 Ho 3.34
Tm 0.3267 0.0780 0.1757  3 Ho 3.30-3.67, 3 Tm 3.44-3.46, 1 La 3.61
Tm 0.4962 0.5038 0.7500  5 Ho 3.30-3.55, 3 Tm 3.44-3.50, 2 La 3.69
Tm 0.5038 0.4962 0.2500  5 Ho 3.30-3.55, 3 Tm 3.44-3.50, 2 La 3.69
Tm 0.6733 0.9220 0.8243  3 Ho 3.30-3.67, 3 Tm 3.44-3.46, 1 La 3.61
Tm 0.7474 0.2526 0.2500  4 Tm 3.15-3.50, 2 Ho 3.34
Tm 0.9220 0.6733 0.3243  3 Ho 3.30-3.67, 3 Tm 3.44-3.46, 1 La 3.61
Tm 0.9664 0.0336 0.2500  3 Tm 3.15-3.46, 2 Ho 3.42, 2 La 3.43
└──
However, there still is hope for recovery from this political and social depression. Presidential candidate Joe Biden, who is currently leading national polls, has promised to work towards remedying many of these deep-rooted offenses if he is elected as the next president of the United States come November. This includes ending the so-called “forever” wars in the Middle East, restructuring and revitalizing international agreements to keep them relevant in the modern world, restructuring the State Department to promote beneficial diplomacy, and many other key changes. I’m certainly keeping my fingers crossed that the U.S. can pick itself up, prop the doors back open, and go rejoin the international community as a positively contributing member. It’s time for Lady Liberty to get her act together.